• Listing:
No. 1
{
  "formula": "C4H9NO",
  "method": "ωB97M-V/def2-TZVPD",
  "species": ["C", "C", "N", "C", "O", "C", "H", "H", "H", "H", "H", "H", "H", "H", "H"],
  "coordinates": [[1.35550, -0.04553, -1.82561], [-0.05729, 0.32305, -1.37857], [-0.42639, -0.30475, -0.06783], [-0.50540, 0.50977, 0.99302], [-0.38882, 1.71663, 1.19483], [-0.82607, -0.23229, 2.22602], [1.59870, 0.41147, -2.79452], [1.44558, -1.13150, -1.92804], [2.09564, 0.29551, -1.09319], [-0.12857, 1.42708, -1.27306], [-0.78453, 0.03977, -2.14724], [-0.67098, -1.39227, 0.58504], [-1.84615, -0.06794, 2.58298], [-0.11416, -0.04681, 3.03120], [-0.74707, -1.50217, 1.89497]],
  "atomic_forces_ev_per_a": [[0.00, -0.12, 0.07], [-0.11, -0.62, 0.01], [-0.39, -1.33, 1.42], [-0.28, 0.64, 1.67], [0.34, 0.17, -1.72], [-0.21, -4.20, 0.30], [-0.14, -0.08, 0.23], [0.06, 0.13, -0.02], [-0.15, -0.06, -0.11], [-0.13, -0.74, 0.44], [0.07, -0.09, 0.19], [1.15, 3.55, -3.93], [0.18, 0.00, -0.14], [-0.06, -0.13, -0.17], [-0.33, 2.88, 1.75]],
  "lowdin_charge": [-0.103, -0.229, 0.011, -0.653, 0.021, -0.016, 0.073, 0.067, 0.074, 0.120, 0.105, 0.224, 0.087, 0.087, 0.129],
  "total_charge": 0,
  "homo_lumo_gap_ev": 10.1,
  "e_homo_ev": -9.4,
  "energy_ev": -7829.45245
}

No. 2
{
  "formula": "C7H14NO",
  "method": "ωB97M-V/def2-TZVPD",
  "species": ["C", "C", "C", "C", "O", "C", "C", "N", "C", "H", "H", "H", "H", "H", "H", "H", "H", "H", "H", "H", "H", "H", "H"],
  "coordinates": [[0.45936, -2.66700, 0.33594], [0.83055, -1.41667, 0.16694], [0.31630, -0.12168, 0.65854], [1.51356, 0.80352, 1.47235], [-0.94954, -0.27256, 1.46420], [-2.14482, 0.21899, 0.70496], [-1.55358, 0.84132, -0.65109], [-0.12151, 0.85429, -0.44949], [0.50809, 0.61704, -1.82312], [1.17921, -3.28237, -0.09742], [-0.38433, -2.99332, 0.92515], [1.84312, -1.36872, -0.39027], [1.19273, 1.41759, 2.35645], [1.89805, 1.50824, 0.64555], [2.37246, 0.16235, 1.68222], [-2.72813, 0.90000, 1.39727], [-2.73258, -0.64948, 0.54880], [-1.91993, 0.19421, -1.41428], [-1.83643, 1.91581, -0.81712], [0.23970, 1.70071, -0.17796], [-0.01419, -0.19724, -2.42413], [0.49268, 1.50516, -2.52194], [1.53923, 0.32980, -1.59156]],
  "atomic_forces_ev_per_a": [[-0.89, 1.12, 0.89], [2.46, 0.71, -1.31], [-1.11, 1.59, 3.11], [-0.90, -0.31, -2.20], [1.40, 1.10, -2.15], [1.83, 1.14, 1.17], [-2.54, 1.33, 3.05], [0.01, -3.54, -3.18], [0.57, -0.55, -1.16], [0.42, -1.86, -0.42], [-0.05, -0.15, -0.14], [-1.68, 0.48, 0.92], [-0.09, -0.95, -0.95], [-0.37, -0.80, 1.32], [-0.35, 0.02, 0.33], [0.94, -0.47, -1.01], [-0.64, -0.66, -0.59], [0.45, -0.19, -0.92], [-0.21, -1.22, 0.05], [0.43, 2.79, 1.01], [0.66, 0.81, 1.38], [-0.13, -0.55, 1.40], [-0.20, 0.16, -0.61]],
  "lowdin_charge": [0.092, -0.144, -0.319, 0.067, -0.086, -0.050, -0.064, -0.087, 0.026, 0.058, 0.090, 0.143, 0.103, 0.094, 0.076, 0.144, 0.103, 0.120, 0.164, 0.113, 0.135, 0.132, 0.089],
  "total_charge": 1,
  "homo_lumo_gap_ev": 11.2,
  "smiles": "C=C[C@]1(C)OCC[N@@H+]1C",
  "e_homo_ev": -14.1,
  "energy_ev": -11014.17628
}

=====

No. 1
The following is a DFT calculation (ωB97M-V/def2-TZVPD) of a cluster of 2 separate species, C10H18NS in total at a distorted geometry.

Values from the calculation:
Maximum force = 0.07744 Eh/bohr
Orbital gap (alpha / beta) = 0.239 / 0.239 Eh
Total charge = +1
Spin multiplicity = 1
HOMO (alpha / beta) = -11.42 / -11.41 eV
Energy = -22974.822 eV

Last column: Mulliken charge in e.
Positions of all 30 atoms, in Å:
C 2.0069 0.2102 -0.0093  0.319
C 0.8631 0.2171 -0.3955  -0.367
C 3.7986 1.3662 1.0757  -0.997
C 3.3923 0.4491 0.1998  0.380
C 4.3034 -0.4376 -0.5916  -1.194
C -3.6345 0.2215 -0.0670  -0.841
C -1.8191 0.9391 1.3590  -0.877
C -1.8740 1.6253 -0.9455  -0.770
C -0.1047 -2.9530 -0.2079  -0.558
C -1.4240 -0.6479 -0.3938  -0.378
N -2.1876 0.5260 -0.0096  -0.111
S -1.3530 -2.0029 0.6806  0.117
H 4.8468 1.5108 1.2748  0.297
H 3.1132 1.9895 1.6248  0.293
H 4.3496 -1.4259 -0.1336  0.280
H 5.3071 -0.0229 -0.6195  0.402
H 3.9371 -0.5510 -1.6091  0.311
H -3.9099 -0.1068 -1.0675  0.378

• Assignment:
Transcribe all of the data further up without additions.

• Outcome:
No. 1
{
  "formula": "C4H9NO",
  "method": "ωB97M-V/def2-TZVPD",
  "species": ["C", "C", "N", "C", "O", "C", "H", "H", "H", "H", "H", "H", "H", "H", "H"],
  "coordinates": [[1.35550, -0.04553, -1.82561], [-0.05729, 0.32305, -1.37857], [-0.42639, -0.30475, -0.06783], [-0.50540, 0.50977, 0.99302], [-0.38882, 1.71663, 1.19483], [-0.82607, -0.23229, 2.22602], [1.59870, 0.41147, -2.79452], [1.44558, -1.13150, -1.92804], [2.09564, 0.29551, -1.09319], [-0.12857, 1.42708, -1.27306], [-0.78453, 0.03977, -2.14724], [-0.67098, -1.39227, 0.58504], [-1.84615, -0.06794, 2.58298], [-0.11416, -0.04681, 3.03120], [-0.74707, -1.50217, 1.89497]],
  "atomic_forces_ev_per_a": [[0.00, -0.12, 0.07], [-0.11, -0.62, 0.01], [-0.39, -1.33, 1.42], [-0.28, 0.64, 1.67], [0.34, 0.17, -1.72], [-0.21, -4.20, 0.30], [-0.14, -0.08, 0.23], [0.06, 0.13, -0.02], [-0.15, -0.06, -0.11], [-0.13, -0.74, 0.44], [0.07, -0.09, 0.19], [1.15, 3.55, -3.93], [0.18, 0.00, -0.14], [-0.06, -0.13, -0.17], [-0.33, 2.88, 1.75]],
  "lowdin_charge": [-0.103, -0.229, 0.011, -0.653, 0.021, -0.016, 0.073, 0.067, 0.074, 0.120, 0.105, 0.224, 0.087, 0.087, 0.129],
  "total_charge": 0,
  "homo_lumo_gap_ev": 10.1,
  "e_homo_ev": -9.4,
  "energy_ev": -7829.45245
}

No. 2
{
  "formula": "C7H14NO",
  "method": "ωB97M-V/def2-TZVPD",
  "species": ["C", "C", "C", "C", "O", "C", "C", "N", "C", "H", "H", "H", "H", "H", "H", "H", "H", "H", "H", "H", "H", "H", "H"],
  "coordinates": [[0.45936, -2.66700, 0.33594], [0.83055, -1.41667, 0.16694], [0.31630, -0.12168, 0.65854], [1.51356, 0.80352, 1.47235], [-0.94954, -0.27256, 1.46420], [-2.14482, 0.21899, 0.70496], [-1.55358, 0.84132, -0.65109], [-0.12151, 0.85429, -0.44949], [0.50809, 0.61704, -1.82312], [1.17921, -3.28237, -0.09742], [-0.38433, -2.99332, 0.92515], [1.84312, -1.36872, -0.39027], [1.19273, 1.41759, 2.35645], [1.89805, 1.50824, 0.64555], [2.37246, 0.16235, 1.68222], [-2.72813, 0.90000, 1.39727], [-2.73258, -0.64948, 0.54880], [-1.91993, 0.19421, -1.41428], [-1.83643, 1.91581, -0.81712], [0.23970, 1.70071, -0.17796], [-0.01419, -0.19724, -2.42413], [0.49268, 1.50516, -2.52194], [1.53923, 0.32980, -1.59156]],
  "atomic_forces_ev_per_a": [[-0.89, 1.12, 0.89], [2.46, 0.71, -1.31], [-1.11, 1.59, 3.11], [-0.90, -0.31, -2.20], [1.40, 1.10, -2.15], [1.83, 1.14, 1.17], [-2.54, 1.33, 3.05], [0.01, -3.54, -3.18], [0.57, -0.55, -1.16], [0.42, -1.86, -0.42], [-0.05, -0.15, -0.14], [-1.68, 0.48, 0.92], [-0.09, -0.95, -0.95], [-0.37, -0.80, 1.32], [-0.35, 0.02, 0.33], [0.94, -0.47, -1.01], [-0.64, -0.66, -0.59], [0.45, -0.19, -0.92], [-0.21, -1.22, 0.05], [0.43, 2.79, 1.01], [0.66, 0.81, 1.38], [-0.13, -0.55, 1.40], [-0.20, 0.16, -0.61]],
  "lowdin_charge": [0.092, -0.144, -0.319, 0.067, -0.086, -0.050, -0.064, -0.087, 0.026, 0.058, 0.090, 0.143, 0.103, 0.094, 0.076, 0.144, 0.103, 0.120, 0.164, 0.113, 0.135, 0.132, 0.089],
  "total_charge": 1,
  "homo_lumo_gap_ev": 11.2,
  "smiles": "C=C[C@]1(C)OCC[N@@H+]1C",
  "e_homo_ev": -14.1,
  "energy_ev": -11014.17628
}

=====

No. 1
The following is a DFT calculation (ωB97M-V/def2-TZVPD) of a cluster of 2 separate species, C10H18NS in total at a distorted geometry.

Values from the calculation:
Maximum force = 0.07744 Eh/bohr
Orbital gap (alpha / beta) = 0.239 / 0.239 Eh
Total charge = +1
Spin multiplicity = 1
HOMO (alpha / beta) = -11.42 / -11.41 eV
Energy = -22974.822 eV

Last column: Mulliken charge in e.
Positions of all 30 atoms, in Å:
C 2.0069 0.2102 -0.0093  0.319
C 0.8631 0.2171 -0.3955  -0.367
C 3.7986 1.3662 1.0757  -0.997
C 3.3923 0.4491 0.1998  0.380
C 4.3034 -0.4376 -0.5916  -1.194
C -3.6345 0.2215 -0.0670  -0.841
C -1.8191 0.9391 1.3590  -0.877
C -1.8740 1.6253 -0.9455  -0.770
C -0.1047 -2.9530 -0.2079  -0.558
C -1.4240 -0.6479 -0.3938  -0.378
N -2.1876 0.5260 -0.0096  -0.111
S -1.3530 -2.0029 0.6806  0.117
H 4.8468 1.5108 1.2748  0.297
H 3.1132 1.9895 1.6248  0.293
H 4.3496 -1.4259 -0.1336  0.280
H 5.3071 -0.0229 -0.6195  0.402
H 3.9371 -0.5510 -1.6091  0.311
H -3.9099 -0.1068 -1.0675  0.378